Job:
Please set down the whole of the contents further down verbatim.

Listing:
********
1.
# Pm3Nd2Sn3

A geometry-optimized Pm3Nd2Sn3 structure (GGA-PBE, Alexandria).

```
Pm3Nd2Sn3
1.0
-5.6211 -3.5591 -1.4606
5.2087 -6.6957 -3.7301
-2.1599 -0.2852 9.0073
Nd Sn Pm
4 6 6
Cartesian
2.7525 -4.5589 0.5157
-2.5142 -4.2016 4.0312
-0.0581 -6.3384 -0.2146
0.2963 -2.4220 4.7615
-5.5265 -2.8424 4.3705
-1.0550 -6.7325 -3.3590
0.6426 -3.5223 -1.8317
0.4449 -5.1261 2.8372
-2.2545 -1.0019 3.1762
-3.0172 -5.4140 0.9793
-1.9015 -7.9686 2.9105
-0.6708 -2.5714 0.9061
-2.9611 -4.2823 -1.9940
2.5487 -5.9725 -3.1967
-4.7362 -2.7380 1.0744
-3.0448 -1.1063 6.4723
```

Values from the calculation:
The formation energy comes out at -695 meV/atom. Its magnetic moment is 0.00 Bohr magnetons per cell. The calculated density comes out at 7.08 g/cm³.

2.
# NdHfSe4

A geometry-optimized NdHfSe4 structure (GGA-PBE, Alexandria).

```
NdHfSe4
1.0
6.7285 0.0000 0.0000
0.0000 7.3830 -0.1042
0.0000 -3.0165 7.2890
Hf Se Nd
2 8 2
Cartesian
0.0000 0.0000 0.0000
3.3642 3.6915 -0.0521
2.1858 0.8217 4.9151
5.5500 -0.1466 2.3218
4.5427 3.5449 2.2697
5.3127 2.2803 6.2512
1.9485 5.7777 0.8815
1.4157 2.0862 0.9336
4.7800 -1.4112 6.3033
1.1784 4.5132 4.8630
3.3642 -1.5082 3.6445
0.0000 2.1833 3.5924
```

Values from the calculation:
Its magnetic moment is 0.00 Bohr magnetons per cell. The calculated density comes out at 5.89 g/cm³. The calculation puts the electronic total energy at -72.04 eV for the cell shown.

3.
# ZnAgSb2I

A geometry-optimized ZnAgSb2I structure (GGA-PBE, Alexandria).

```
ZnAgSb2I
1.0
5.1919 0.0000 0.0000
0.0000 5.1919 0.0000
0.0000 0.0000 5.8116
Zn Sb I Ag
1 2 1 1
Cartesian
0.0000 0.0000 0.0000
0.0000 2.5960 0.0000
2.5960 0.0000 0.0000
0.0000 0.0000 2.9058
2.5960 2.5960 2.9058
```

Values from the calculation:
For the energy above the lowest structure with this stoichiometry, the calculation gives 0 meV per atom. Its magnetic moment is 0.00 Bohr magnetons per cell. The calculated density comes out at 5.76 g/cm³.

4.
# CaAuCl2

A geometry-optimized CaAuCl2 structure (GGA-PBE, Alexandria).

```
CaAuCl2
1.0
-9.6896 0.2125 4.5559
-8.1507 -2.7206 6.3917
-7.5084 0.8129 7.5929
Ca Cl Au
1 2 1
Cartesian
-19.0115 -1.2714 13.9054
-11.8286 -0.7910 8.6517
-0.8457 -0.0566 0.6186
-6.3372 -0.4238 4.6351
```

Values from the calculation:
For the energy above the lowest structure with this stoichiometry, the calculation gives 0 meV per atom. Its magnetic moment is 0.00 Bohr magnetons per cell. The calculated density comes out at 3.93 g/cm³.


## a
Entry from Alexandria: Hf after structural relaxation (PBE).

Output
**DOS(E_F)**: 2.3 states/eV/f.u.
**SG**: P6/mmm, No. 191
**Size of the total moment**: 0.0001 μB/atom

Cell: 5.054 5.054 2.778 Å, 90.00 90.00 120.00°
Positions (direct):
Hf (0.333, 0.667, 0.000)
Hf (0.667, 0.333, 0.000)

***

## b
Entry from Alexandria: Hf after structural relaxation (PBE).

Output
**DOS(E_F)**: 1.3 states/eV/f.u.
**SG**: P6_3/mmc, No. 194
**Size of the total moment**: 0.0000 μB/atom

Cell: 3.183 3.183 15.357 Å, 90.00 90.00 120.00°
Positions (direct):
Hf (0.000, 0.000, 0.250)
Hf (0.000, 0.000, 0.750)
Hf (0.333, 0.667, 0.083)
Hf (0.333, 0.667, 0.417)
Hf (0.667, 0.333, 0.583)
Hf (0.667, 0.333, 0.917)

***

## c
Entry from Alexandria: Hf after structural relaxation (PBE).

Output
**DOS(E_F)**: 0.7 states/eV/f.u.
**SG**: I4/m, No. 87
**Size of the total moment**: 0.0000 μB/atom

Cell: 7.979 7.979 7.979 Å, 92.12 92.12 157.84°
Positions (direct):
Hf (0.093, 0.355, 0.448)
Hf (0.095, 0.829, 0.924)
Hf (0.171, 0.095, 0.266)
Hf (0.355, 0.907, 0.262)
Hf (0.645, 0.093, 0.738)
Hf (0.829, 0.905, 0.734)
Hf (0.905, 0.171, 0.076)
Hf (0.907, 0.645, 0.552)

***

Most stable to least stable, the ends of the list are b and a.

***

## a
Entry from Alexandria: Hf after structural relaxation (PBE).

Output
**DOS(E_F)**: 0.6 states/eV/f.u.
**SG**: P6/mmm, No. 191
**Size of the total moment**: 0.0000 μB/atom

Cell: 2.988 2.988 3.004 Å, 90.00 90.00 120.00°
Positions (direct):
Hf (0.000, 0.000, 0.000)

***

## b
********

Response:
1.
# Pm3Nd2Sn3

A geometry-optimized Pm3Nd2Sn3 structure (GGA-PBE, Alexandria).

```
Pm3Nd2Sn3
1.0
-5.6211 -3.5591 -1.4606
5.2087 -6.6957 -3.7301
-2.1599 -0.2852 9.0073
Nd Sn Pm
4 6 6
Cartesian
2.7525 -4.5589 0.5157
-2.5142 -4.2016 4.0312
-0.0581 -6.3384 -0.2146
0.2963 -2.4220 4.7615
-5.5265 -2.8424 4.3705
-1.0550 -6.7325 -3.3590
0.6426 -3.5223 -1.8317
0.4449 -5.1261 2.8372
-2.2545 -1.0019 3.1762
-3.0172 -5.4140 0.9793
-1.9015 -7.9686 2.9105
-0.6708 -2.5714 0.9061
-2.9611 -4.2823 -1.9940
2.5487 -5.9725 -3.1967
-4.7362 -2.7380 1.0744
-3.0448 -1.1063 6.4723
```

Values from the calculation:
The formation energy comes out at -695 meV/atom. Its magnetic moment is 0.00 Bohr magnetons per cell. The calculated density comes out at 7.08 g/cm³.

2.
# NdHfSe4

A geometry-optimized NdHfSe4 structure (GGA-PBE, Alexandria).

```
NdHfSe4
1.0
6.7285 0.0000 0.0000
0.0000 7.3830 -0.1042
0.0000 -3.0165 7.2890
Hf Se Nd
2 8 2
Cartesian
0.0000 0.0000 0.0000
3.3642 3.6915 -0.0521
2.1858 0.8217 4.9151
5.5500 -0.1466 2.3218
4.5427 3.5449 2.2697
5.3127 2.2803 6.2512
1.9485 5.7777 0.8815
1.4157 2.0862 0.9336
4.7800 -1.4112 6.3033
1.1784 4.5132 4.8630
3.3642 -1.5082 3.6445
0.0000 2.1833 3.5924
```

Values from the calculation:
Its magnetic moment is 0.00 Bohr magnetons per cell. The calculated density comes out at 5.89 g/cm³. The calculation puts the electronic total energy at -72.04 eV for the cell shown.

3.
# ZnAgSb2I

A geometry-optimized ZnAgSb2I structure (GGA-PBE, Alexandria).

```
ZnAgSb2I
1.0
5.1919 0.0000 0.0000
0.0000 5.1919 0.0000
0.0000 0.0000 5.8116
Zn Sb I Ag
1 2 1 1
Cartesian
0.0000 0.0000 0.0000
0.0000 2.5960 0.0000
2.5960 0.0000 0.0000
0.0000 0.0000 2.9058
2.5960 2.5960 2.9058
```

Values from the calculation:
For the energy above the lowest structure with this stoichiometry, the calculation gives 0 meV per atom. Its magnetic moment is 0.00 Bohr magnetons per cell. The calculated density comes out at 5.76 g/cm³.

4.
# CaAuCl2

A geometry-optimized CaAuCl2 structure (GGA-PBE, Alexandria).

```
CaAuCl2
1.0
-9.6896 0.2125 4.5559
-8.1507 -2.7206 6.3917
-7.5084 0.8129 7.5929
Ca Cl Au
1 2 1
Cartesian
-19.0115 -1.2714 13.9054
-11.8286 -0.7910 8.6517
-0.8457 -0.0566 0.6186
-6.3372 -0.4238 4.6351
```

Values from the calculation:
For the energy above the lowest structure with this stoichiometry, the calculation gives 0 meV per atom. Its magnetic moment is 0.00 Bohr magnetons per cell. The calculated density comes out at 3.93 g/cm³.


## a
Entry from Alexandria: Hf after structural relaxation (PBE).

Output
**DOS(E_F)**: 2.3 states/eV/f.u.
**SG**: P6/mmm, No. 191
**Size of the total moment**: 0.0001 μB/atom

Cell: 5.054 5.054 2.778 Å, 90.00 90.00 120.00°
Positions (direct):
Hf (0.333, 0.667, 0.000)
Hf (0.667, 0.333, 0.000)

***

## b
Entry from Alexandria: Hf after structural relaxation (PBE).

Output
**DOS(E_F)**: 1.3 states/eV/f.u.
**SG**: P6_3/mmc, No. 194
**Size of the total moment**: 0.0000 μB/atom

Cell: 3.183 3.183 15.357 Å, 90.00 90.00 120.00°
Positions (direct):
Hf (0.000, 0.000, 0.250)
Hf (0.000, 0.000, 0.750)
Hf (0.333, 0.667, 0.083)
Hf (0.333, 0.667, 0.417)
Hf (0.667, 0.333, 0.583)
Hf (0.667, 0.333, 0.917)

***

## c
Entry from Alexandria: Hf after structural relaxation (PBE).

Output
**DOS(E_F)**: 0.7 states/eV/f.u.
**SG**: I4/m, No. 87
**Size of the total moment**: 0.0000 μB/atom

Cell: 7.979 7.979 7.979 Å, 92.12 92.12 157.84°
Positions (direct):
Hf (0.093, 0.355, 0.448)
Hf (0.095, 0.829, 0.924)
Hf (0.171, 0.095, 0.266)
Hf (0.355, 0.907, 0.262)
Hf (0.645, 0.093, 0.738)
Hf (0.829, 0.905, 0.734)
Hf (0.905, 0.171, 0.076)
Hf (0.907, 0.645, 0.552)

***

Most stable to least stable, the ends of the list are b and a.

***

## a
Entry from Alexandria: Hf after structural relaxation (PBE).

Output
**DOS(E_F)**: 0.6 states/eV/f.u.
**SG**: P6/mmm, No. 191
**Size of the total moment**: 0.0000 μB/atom

Cell: 2.988 2.988 3.004 Å, 90.00 90.00 120.00°
Positions (direct):
Hf (0.000, 0.000, 0.000)

***

## b